Mr. W. Williams moved for a
Return of the recommendations contained in the reports of the commissioners appointed on the 8th of July, 1831, to make inquiries and to examine into the manner in which the public money is received and paid in the several departments of receipt and payment, and into the system of keeping the accounts in the same, and to suggest such improvements as may appear to them to be practicable and necessary; and also, a statement, showing what parts thereof have been carried into effect.
§ The Chancellor of the Exchequer, though he did not object to the return, considered it one almost impracticable to be made, and one which would, at all events, impose a task of extreme difficulty upon the Government. He put it, therefore, to the hon. Gentleman, whether he would persist in his motion.
§ Dr. Bowringsaid that the motion was in consonance with the recommendation of a committee of that House, and was the adoption of a great principle—namely, that the whole public revenue, without any deduction whatever, ought to be paid into the public treasury, and that no payment ought to be made without Parliamentary control.
§ Mr. W. Williamswas glad that the right hon. Gentleman did not object to the return, which he considered to be one of very great importance, and, if granted, would do great public service.
§ Sir George Clerkdid not understand his right hon. Friend (the Chancellor of the Exchequer) to say that he would furnish the information required, but merely that it was very difficult to do so, and that it was equally difficult to ascertain what was the real object of the motion.
§ Mr. Williamswas only anxious to obtain the information, and cared comparatively little for the wording of the motion. A return of a similar kind had been moved for by the hon. Member for Greenock last session, and to communicate to the House all that was required, would give little trouble and occupy little time.
§ Sir R. Peelremarked that the most important part of the information con- 339 sisted of the recommendations in the report; those were already printed: but if the hon. Member wished to have them printed again there could be no objection to it. Neither did he nor his friends consider the mere words of the motion of any importance; they were only desirous that the terms should be such as to occasion no disappointment to the hon. Member when the return was made. It might not be easy in all cases to state how far the recommendations of the commissioners had been carried into effect.
Here is a molecular structure, C9H10N2Yb from OMol25. Energies are from wB97M-V/def2-TZVPD.

Geometry as XYZ:
```
22
Properties=species:S:1:pos:R:3:lowdin_spin:R:1
C -0.6350 2.0913 -1.6065 0.00
H -2.1101 2.3185 -0.0854 0.00
H -2.5043 1.0941 -1.4292 0.00
H 1.4409 2.2342 -2.0855 0.00
C 1.1120 -2.1490 -0.6703 0.00
C 0.4061 2.5777 -2.2644 0.00
N -0.1324 -0.0477 3.6407 0.00
C -0.1753 -2.4779 -0.1519 0.00
Yb 0.0944 0.1845 -0.0183 1.02
C -1.1597 -1.9410 -1.0374 0.00
H 1.7134 -1.0140 -2.5219 0.00
H -2.2357 -2.0846 -0.9647 0.00
H -0.3742 -3.0917 0.7286 0.00
H 2.0768 -2.4376 -0.2382 0.00
H -0.9424 -0.7898 -2.9565 0.00
N 1.8428 1.3010 0.3033 -0.02
H 0.3002 3.3727 -3.0194 0.00
C -0.4784 -1.2737 -2.0969 0.00
C 0.9256 -1.3918 -1.8676 0.00
C -1.7784 1.7994 -0.9979 0.00
H 2.7387 1.7408 0.5730 0.00
C -0.1251 -0.0156 2.4623 0.00
```

Computed properties:
Total charge: -1
LUMO energy (spin up / spin down) in eV: 2.973 / 2.975
Frontier orbital gap (spin up / spin down) in eV: 5.8 / 5.8
HOMO (spin up / spin down) in eV: -2.8 / -2.8
Spin multiplicity: 2

=====

{
  "formula": "C40H37CoO2PSi",
  "method": "ωB97M-V with the def2-TZVPD basis set",
  "s_squared": 0.8711,
  "spin_multiplicity": 2,
  "relative_energy_ev": 0.0000,
  "gap_ha": [0.2778, 0.3104],
  "e_homo_ev": [-7.52, -7.95],
  "species": ["Co", "C", "C", "C", "C", "C", "C", "C", "C", "C", "H", "H", "H", "H", "H", "H", "H", "H", "H", "H", "H", "H", "O", "C", "O", "C", "C", "C", "C", "C", "C", "P", "C", "C", "C", "C", "C", "C", "C", "C", "C", "C", "C", "C", "H", "H", "H", "H", "H", "H", "H", "H", "H", "H", "H", "H", "H", "H", "C", "C", "C", "C", "C", "C", "Si", "C", "C", "C", "C", "C", "C", "H", "H", "H", "H", "H", "H", "H", "H", "H", "H", "H"],
The quantum chemistry results stop here:
§ Mr. F. Baringsaid that after a general principle had been laid down, it was the business of the several departments to carry it into execution by degrees. In any case where a recommendation had been carried completely into effect, that information might be conveyed to the House, and perhaps the better course would be, for the hon. Member for Coventry to move specificially upon each recommendation. He believed that a good deal had been done already, and had no doubt that more would be done hereafter. Practically, it might be advantageous for the hon. Member to confine his motion to particular points.
Motion withdrawn.